• Input:
********
Below is one molecule with the formula C6H6N4O, with properties calculated with the ωB97M-V functional and the def2-TZVPD basis.

Strongest force on any atom, Eh/bohr: 0.048
Electronic energy, eV: -14326.1941
Molecular weight, g mol⁻¹: 150.14
Energy relative to the best compared isomer or geometry (same formula, charge and spin), eV: 1.322
LUMO, eV: 0.178

Positions of all 17 atoms, in Å:
O -0.381 -0.887 3.379
N -1.458 1.457 -0.169
N 1.261 -1.521 1.953
N -0.482 0.836 -0.840
N 1.113 -0.995 -0.387
C -0.467 -0.001 1.179
C -0.536 1.074 -2.223
C 0.077 -0.161 -0.089
C 0.049 -0.829 2.271
C -1.445 0.979 1.041
C 1.678 -1.571 0.731
H 2.533 -2.138 0.392
H -1.609 0.981 -2.628
H 0.194 0.332 -2.668
H 1.664 -1.045 -1.271
H -0.073 2.079 -2.379
H -2.118 1.409 1.707

---

Below is C22H26N5O2PReS4 as an isolated structure, with properties calculated with the ωB97M-V functional and the def2-TZVPD basis.

Strongest force on any atom, Eh/bohr: 0.009
Electronic energy, eV: -89540.2996
Molecular weight, g mol⁻¹: 737.93
Energy relative to the best compared isomer or geometry (same formula, charge and spin), eV: 0.337
Spin multiplicity: 3
Expectation value of S²: 2.028
LUMO (spin up / spin down), eV: -3.591 / -4.238
Charge: +1

Positions of all 61 atoms, in Å:
Re -0.069 -0.366 -0.967
S -1.228 3.257 0.960
S 1.391 1.142 0.200
S -0.514 1.025 -2.854
S -2.938 2.530 -3.464
P 0.390 2.394 1.509
O 0.239 1.400 2.767
O 1.468 3.473 1.961
N -0.452 -1.206 0.946
N 1.636 -1.140 -2.057
N -0.860 -2.081 -1.968
N -1.899 0.386 -0.424
N -2.700 1.171 -1.233
C -1.602 -0.800 1.534
C -0.028 -2.692 -2.835
C -2.524 -3.727 -2.401
C -0.404 -3.849 -3.496
C 3.742 -0.838 -3.137
C -2.080 -2.588 -1.760
C 0.396 -1.984 1.639
C 2.824 3.138 2.333
C 3.786 3.580 1.256
C -4.422 2.955 -2.539
C 2.154 -2.374 -4.037
C 0.640 1.737 5.121
C 2.840 -0.556 -2.129
C 3.388 -1.747 -4.116
C -0.348 1.904 3.992
C 0.120 -2.409 2.918
C -1.669 -4.371 -3.279
C -2.119 1.500 -2.341
C -1.940 -1.202 2.824
C 1.305 -2.064 -2.991
C -2.413 0.066 0.720
C -1.072 -2.013 3.520
H -1.978 -5.274 -3.788
H -0.643 2.945 3.859
H -1.254 1.321 4.164
H 3.012 3.679 3.261
H 1.849 -3.078 -4.796
H 0.186 2.058 6.060
H 1.317 -2.249 1.138
H 1.531 2.341 4.951
H -4.150 3.375 -1.574
H -1.312 -2.335 4.524
H 4.057 -1.965 -4.938
H 4.696 -0.331 -3.153
H -3.520 -4.098 -2.207
H 4.806 3.333 1.555
H 3.721 4.657 1.108
H 2.897 2.068 2.540
H -4.936 3.701 -3.141
H 0.941 0.694 5.223
H 0.833 -3.031 3.439
H -2.869 -0.859 3.258
H 3.568 3.085 0.310
H -3.376 0.455 1.019
H -5.057 2.084 -2.402
H 3.064 0.165 -1.356
H 0.286 -4.345 -4.162
H -2.706 -2.046 -1.064

---

Below is a 2-piece molecular cluster, C3H5P overall, with properties calculated with the ωB97M-V functional and the def2-TZVPD basis.

Strongest force on any atom, Eh/bohr: 0.090
Electronic energy, eV: -12474.0941
Molecular weight, g mol⁻¹: 72.05
Energy relative to the best compared isomer or geometry (same formula, charge and spin), eV: 4.544
LUMO (spin up / spin down), eV: -2.344 / -2.345

Positions of all 9 atoms, in Å:
P 3.480 -0.162 -0.086
C -2.010 -0.123 0.200
C 0.789 0.178 0.195
C 1.798 -0.274 -0.409
H -2.188 0.896 0.178
H 3.579 1.026 -0.975
H -2.507 -0.538 1.051
H -0.897 -0.410 0.581
H -2.043 -0.592 -0.736

---

Below is C21H65B4KNO7Pb as an isolated structure, with properties calculated with the ωB97M-V functional and the def2-TZVPD basis.

Strongest force on any atom, Eh/bohr: 0.094
Electronic energy, eV: -62917.5224
Molecular weight, g mol⁻¹: 733.30
LUMO, eV: 1.680
Charge: -1

Positions of all 100 atoms, in Å:
Pb -2.215 -4.182 0.176
K 1.079 -0.554 0.076
O 3.875 -1.541 -1.411
O 1.709 -1.046 -3.043
O 4.439 0.285 5.698
O 2.401 1.661 0.335
O -2.932 -0.186 -3.151
O 5.689 2.470 3.780
O -0.171 1.476 1.714
N -3.932 0.653 -2.668
C -4.684 1.588 -4.966
C 5.952 2.232 5.203
C -5.590 -0.638 -3.966
C -2.524 1.477 -0.713
C 4.734 1.632 6.024
C -5.059 0.829 -3.609
C 5.848 1.310 2.997
C -4.690 2.545 -1.322
C 4.076 -1.660 -2.842
C 0.806 2.628 1.876
C -6.281 1.514 -2.909
C 4.791 -2.256 -0.554
********

• Wanted:
Filter the calculation results further above: keep the lines with the word "charge".

• Completed:
Energy relative to the best compared isomer or geometry (same formula, charge and spin), eV: 1.322
Energy relative to the best compared isomer or geometry (same formula, charge and spin), eV: 0.337
Energy relative to the best compared isomer or geometry (same formula, charge and spin), eV: 4.544